e-Audio, 16:29:17
Narrated by: Rebecca Soler
Release Date: November 8, 2022
Published by: Macmillan Audio
Read from: November 6-9, 2022
Gilded, #2
Source: LibroFM (I received the audio copy of this book from LibroFM and the Publisher in exchange for a just and honest review. This did nothing to influence my review.)
TW: Demons, Violence, “Death”, pregnancy and birth but there are no details depicted
For Readers Interested In: Fantasy, Dark, Retellings, Romance, Fancy Cover, YAIn Cursed, Marissa Meyer brings the fairytale-inspired Gilded duology to a conclusion..
Be still now, and I will tell you a tale.
Adalheid Castle is in chaos.
Following a shocking turn of events, Serilda finds herself ensnared in a deadly game of make-believe with the Erlking, who is determined to propel her deeper into the castle’s lies. Meanwhile, Serilda is determined to work with Gild to help him solve the mystery of his forgotten name and past.
But soon it becomes clear that the Erlking doesn’t only want to use Serilda to bring back his one true love. He also seeks vengeance against the seven gods who have long trapped the Dark Ones behind the veil. If the Erlking succeeds, it could change the mortal realm forever.
Can Serilda find a way to use her storytelling gifts for good—once and for all? And can Serilda and Gild break the spells that tether their spirits to the castle before the Endless Moon finds them truly cursed?
Was this next on my list to review? No. Did I feel like I had to do it anyway since it was so close to release and I knew everyone would want to know how the ending came out but most of y’all were still reading Bloodmarked? Also yes. So now I’m using this time to give y’all some answers on this instead.
Ok so at the end of Gilded I was hella confused. Why did it end like that there would be another one. I remember thinking Marissa Meyer was the only person on the planet who could stretch one story into two full length books. And that’s exactly what happened. I don’t know if this is how the original Rumpelstiltskin is told, but if not, ya girl Marissa Meyer is like an everyday Hans Christian Andersen writing these fairy tales. This series was less whimsy than her Lunar Chronicles story and felt more like I had opened a book of the original tale. Even the fantastical elements in this were good. I really thought her book Instant Karma was cute, but I have to say I hope there are more re-tellings of folk and fairy tales in her future.
The coolest thing about this was unfortunately the hunt. I say unfortunately because man I didn’t want him to harm those creatures. I had caught on to what was happening with the tales she was saying before she did, and even though I was listening to it, I had to pause it and yell at her about what she was doing lol I haven’t yelled at a main character in a long time, but Serilda got all the words that day. But even though I was upset that they were getting caught, I enjoyed getting to know more about them through their legends and frankly just seeing them in the book. (Like HELLO, unicorn!) So although it sucked, the hunt was also pretty cool.
For the plot, I wanna talk about it over both books. I remember thinking the first one was a little drawn out, and wondering what in the world this one could be about. This one was the opposite. It was so good I didn’t want to stop reading it. I really think we could have easily made this a stand-alone with just the one. And that’s saying something because y’all know I’m a Marissa Meyer stan lol I would have been ok without the first one. BUT with that being said, the way it ended, it all tied together really good. The pacing in this one is ALOT faster than the other one also. The little pockets of when the demon finds something and having the little battles mixed inbetween, Idk it just seemed to always have some action going on and I appreciated that.
The characters were really top notch tho. Well most of them. Y’all know how I felt about Serilda this time. She just made a lot of bad decisions and seemed to be thinking with her “I’m hurt” brain and not her actual brain. Because Lordt what in the world was that at Darkness’ gates? I mean I get it, it’s about the end game, but girl. I think I was angry because she didn’t have a plan, she just was giving him all that he wanted like “Oh well!” It just bothered me. The King, as terrible as he was, he was bad ass and hella smart. (I seem to always like Meyer’s villains too.) He called so many shots I had to admit that I didn’t think there was a way for them to get out of this. I just knew it was going to end up a way I didn’t want it to.
The world building was a bit better with this one too. The tapestry, the now regal castle, the forests and just all the details in the book were enough for me to picture the setting and the inside of the castle in my mind while reading. I really felt like I was in the castle versus just reading about it. It truly felt like an experience and not just reading words.
These molecular data were left in the text by mistake
/*
[1]
Density functional theory data (wB97M-V/def2-TZVPD) for a 4-piece molecular cluster, C15H27O13P overall.

Element x y z (Å)
C 3.69266 8.30350 15.94908
C 2.48459 9.14892 15.75330
O 1.37229 8.27565 15.85967
C 1.86527 7.11582 16.31579
O 1.20584 6.13395 16.74356
O 3.15987 7.07413 16.26516
H 4.31436 8.88733 16.62784
H 4.03567 8.23336 14.91684
H 2.66268 9.86398 14.95014
H 2.53550 9.80931 16.61897
C -1.58866 6.01521 17.66284
C -1.50535 7.50367 17.64225
O -2.49822 7.94452 18.44289
C -3.38817 6.97582 18.63961
O -4.58303 7.03845 18.97957
O -2.82323 5.76872 18.30039
H -0.74421 5.61935 18.22702
H -1.82325 5.63619 16.66815
H -1.46094 7.82918 16.60293
H -0.58571 7.64981 18.20882
C 5.51007 11.23927 13.57699
C 5.85341 12.33085 12.59119
O 4.66503 12.58552 11.95336
C 3.76209 11.63908 12.24437
O 2.62430 11.62637 11.81039
O 4.32483 10.68727 13.04801
H 5.38768 11.56385 14.61033
H 6.31760 10.50789 13.54404
H 6.76698 12.24082 12.00350
H 6.13373 13.16391 13.23581
C 0.20253 4.44962 12.78922
C 1.03137 5.76329 12.89852
O 1.18971 6.45172 11.68734
P 2.11337 7.74262 11.74105
O 2.54800 8.10511 10.41025
O 1.24463 8.96175 12.52652
C 0.31798 9.67069 11.71255
C -0.34123 10.69698 12.58899
O 3.35960 7.38597 12.76921
C 4.50095 6.76082 12.34331
C 4.75087 5.61010 13.35789
H 0.66347 3.69473 13.42622
H -0.87573 4.59981 12.84301
H 0.28434 3.94042 11.82894
H 0.47747 6.44703 13.54178
H 1.88527 5.45193 13.50021
H 0.72165 10.22581 10.86579
H -0.46032 9.10337 11.20217
H -0.66468 10.18998 13.49808
H 0.30661 11.40849 13.10099
H -1.13429 11.14190 11.98798
H 4.56107 6.33755 11.34064
H 5.42991 7.31632 12.47194
H 4.79960 5.88963 14.41032
H 3.93714 4.88487 13.35605
H 5.67789 5.08017 13.13903

Cartesian forces (eV/Å) of the 6 atoms listed first:
0.2 1.4 -3.1
0.5 2.5 1.8
-0.1 0.0 -0.4
-3.5 -3.9 1.6
1.6 3.6 -1.7
1.9 -1.4 1.5

Its energy is -1907.23820 a.u. The value obtained for the HOMO energy is -0.38331 Ha. Its molecular weight is 446.3 g/mol. Its SMILES is CCOP(=O)(OCC)OCC.O=C1OCCO1.O=C1OCCO1.O=C1OCCO1. The value obtained for the LUMO energy is 0.0112 eV. Its HOMO-LUMO gap is 10.4 eV.

[2]
Density functional theory data (wB97M-V/def2-TZVPD) for C15H28AsF6NP2Pt as an isolated structure.

Element x y z (Å)
Pt -0.03625 0.19914 -0.07579
C -1.96498 2.65822 -1.78882
P -0.64860 2.49707 -0.56598
C 0.74106 3.45712 -1.19006
C -1.25761 3.47780 0.87666
C -0.47269 3.41699 2.19509
P -0.66926 1.93967 3.21474
C 0.44583 2.03550 4.61207
C -2.36025 1.81954 3.82077
H -2.20687 3.71695 -1.90219
H -2.86426 2.11951 -1.49175
H -1.62168 2.28498 -2.75451
H 0.37131 4.43852 -1.49625
H 1.18952 2.96597 -2.05200
H 1.50830 3.57617 -0.42902
H -2.31145 3.23606 1.02529
H -1.21487 4.51101 0.52686
H -0.81581 4.22914 2.84565
H 0.59701 3.55317 2.03691
H 0.13334 2.88608 5.22817
H 1.47027 2.17734 4.27647
H 0.38222 1.13013 5.21650
H -2.54610 2.68917 4.46353
H -2.46928 0.91392 4.42043
H -3.09151 1.80126 3.01304
F 1.31182 0.76386 1.51254
As 3.19409 0.60355 0.72716
F 2.82215 -1.06374 0.73785
F 3.68100 0.54177 2.32741
*/
Back to the text
As always Rebecca Soler was a joy to listen to. She is the person who got me started in listening to audios. I gave her a try after listening to Cinder and I’ve been stuck ever since. I got to talk to her about being an audiobook narrator earlier this year for my library system and she’s also a delight in real life.. Her ability to read and put so much emotion into her words and to change voices for different characters, just made this so much fun to listen to.
I can’t lie, I was a little afraid to read this because I was so worried there was going to be some more weirdness where the plot dragged and a large chunk of it could have been cut out. But nope, that couldn’t be further from the truth. What it did do, is solidify the fact that Marissa Meyer is an auto buy author for me and I will be ready for anything she writes. (I’m just saying hopefully there’s more fairy/folk tales lol)
Overall, I give this